## To do
Now retype every line underneath that contains the word "diffraction".
## Contents
┌──
Starting from a crystal structure in Alexandria, relaxed with GGA-PBE, the PXRD pattern of AcGe2PO8 was calculated for λ = 1.5418 Å (Cu Kα).
Neutral-atom scattering factors, no anomalous dispersion.

Largest 12 diffraction maxima, in order of falling intensity, 5 to 70 degrees two-theta:
d 3.314, intensity 100
d 2.355, intensity 41
d 4.015, intensity 30
d 3.036, intensity 27
d 2.332, intensity 24
d 1.920, intensity 22
d 2.249, intensity 19
d 2.526, intensity 18
d 1.488, intensity 18
d 1.722, intensity 17
d 7.578, intensity 15
d 1.476, intensity 13

```
AcGe2PO8
1.0
2.355 1.360 7.578
-2.355 1.360 7.578
0.000 -2.719 7.578
Ac Ge P O
1 2 1 8
Cartesian
0.000 0.000 0.000
0.000 0.000 5.301
0.000 0.000 17.432
0.000 0.000 11.366
-0.616 -1.206 10.219
-0.736 -1.136 12.514
0.000 0.000 7.058
-0.736 1.136 10.219
-0.616 1.206 12.514
0.000 0.000 15.674
1.352 0.070 10.219
1.352 -0.070 12.514
```

----------

Entry 1:
The following is a theoretical powder diffraction line list of LaPaCu2O6. It was derived from a DFT-relaxed cell (PBE, Alexandria), using Cu Kα (weighted mean of Kα1 and Kα2).
Neutral-atom scattering factors, no anomalous dispersion.

Most intense lines, 5° ≤ 2θ ≤ 70°, most intense first:
d (Å)  two_theta  I_rel
3.151  28.32  1000
2.798  31.98  599
4.185  21.23  408
2.092  43.24  318
1.676  54.78  318
1.907  47.70  227
1.616  57.00  191
1.967  46.15  168
1.373  68.32  156
1.576  58.59  125

Cell and atoms:
Unit cell a=5.5967 b=5.5967 c=16.5894 alpha=90.00 beta=90.00 gamma=120.00
Space group R-3 (No. 148, hexagonal axes)
One atom of each set of equivalent atoms:
La1 0.0000 0.0000 0.0000 (multiplicity 3)
Pa1 0.0000 0.0000 0.5000 (multiplicity 3)
Cu1 0.0000 0.0000 0.2407 (multiplicity 6)
O1 0.0077 0.6869 0.4224 (multiplicity 18)

Entry 2:
The following is a theoretical powder diffraction line list of ZnF5. It was derived from a DFT-relaxed cell (PBE, Alexandria), using Cu Kα (weighted mean of Kα1 and Kα2).
Neutral-atom scattering factors, no anomalous dispersion.

Most intense lines, 5° ≤ 2θ ≤ 70°, most intense first:
d (Å)  two_theta  I_rel
7.047  12.56  1000
2.404  37.41  522
3.523  25.28  389
3.443  25.88  334
1.629  56.48  280
3.365  26.49  263
3.887  22.88  254
2.001  45.31  207
2.765  32.38  193
1.943  46.76  160

Cell and atoms:
Unit cell a=7.7762 b=3.0192 c=7.9578 alpha=90.00 beta=117.68 gamma=90.00
Space group Cm (No. 8)
One atom of each set of equivalent atoms:
Zn1 0.0000 0.0000 0.0000 (multiplicity 2)
F1 0.0473 0.5000 0.1748 (multiplicity 2)
F2 0.1042 0.0000 0.5274 (multiplicity 2)
F3 0.2194 0.5000 0.9615 (multiplicity 2)
F4 0.3962 0.5000 0.4324 (multiplicity 2)
F5 0.4150 0.0000 0.7965 (multiplicity 2)
└──
## Written answer
Largest 12 diffraction maxima, in order of falling intensity, 5 to 70 degrees two-theta:
The following is a theoretical powder diffraction line list of LaPaCu2O6. It was derived from a DFT-relaxed cell (PBE, Alexandria), using Cu Kα (weighted mean of Kα1 and Kα2).
The following is a theoretical powder diffraction line list of ZnF5. It was derived from a DFT-relaxed cell (PBE, Alexandria), using Cu Kα (weighted mean of Kα1 and Kα2).